Contents:
'''
Record 1
Material: BaTcAs2O8
Method: DFT, PBE
State: relaxed

Cell lengths 5.145, 5.145, 7.972 Å; angles 90.00, 90.00, 120.00 degrees
Sites, in units of the cell vectors:
O: 0.289 0.966 0.657
O: 0.034 0.323 0.657
O: 0.966 0.677 0.343
O: 0.677 0.711 0.657
O: 0.333 0.667 0.932
O: 0.323 0.289 0.343
O: 0.711 0.034 0.343
O: 0.667 0.333 0.068
As: 0.333 0.667 0.719
As: 0.667 0.333 0.281
Ba: 0.000 0.000 0.000
Tc: 0.000 0.000 0.500

- E_tot (eV per atom) = -6.695

Record 2
Material: BaTe2AsO8
Method: DFT, PBE
State: relaxed

Cell lengths 5.202, 7.068, 7.575 Å; angles 47.17, 69.92, 68.41 degrees
Sites, in units of the cell vectors:
O: 0.352 0.993 0.804
O: 0.850 0.993 0.804
O: 0.648 0.007 0.196
O: 0.059 0.652 0.230
O: 0.696 0.459 0.149
O: 0.150 0.007 0.196
O: 0.941 0.348 0.770
O: 0.304 0.541 0.851
Te: 0.709 0.759 0.823
Te: 0.291 0.241 0.177
'''

To do:
Next, write out everything above word for word.

Worked solution:
Record 1
Material: BaTcAs2O8
Method: DFT, PBE
State: relaxed

Cell lengths 5.145, 5.145, 7.972 Å; angles 90.00, 90.00, 120.00 degrees
Sites, in units of the cell vectors:
O: 0.289 0.966 0.657
O: 0.034 0.323 0.657
O: 0.966 0.677 0.343
O: 0.677 0.711 0.657
O: 0.333 0.667 0.932
O: 0.323 0.289 0.343
O: 0.711 0.034 0.343
O: 0.667 0.333 0.068
As: 0.333 0.667 0.719
As: 0.667 0.333 0.281
Ba: 0.000 0.000 0.000
Tc: 0.000 0.000 0.500

- E_tot (eV per atom) = -6.695

Record 2
Material: BaTe2AsO8
Method: DFT, PBE
State: relaxed

Cell lengths 5.202, 7.068, 7.575 Å; angles 47.17, 69.92, 68.41 degrees
Sites, in units of the cell vectors:
O: 0.352 0.993 0.804
O: 0.850 0.993 0.804
O: 0.648 0.007 0.196
O: 0.059 0.652 0.230
O: 0.696 0.459 0.149
O: 0.150 0.007 0.196
O: 0.941 0.348 0.770
O: 0.304 0.541 0.851
Te: 0.709 0.759 0.823
Te: 0.291 0.241 0.177